-- Listing --
+++
VASP calculation (PBE with a Hubbard U) on ZrW2O8 after structural relaxation.

## Properties
Formation enthalpy at 0 K ... -2.57 eV/atom

a b c (Å): 9.002 9.301 27.564
angles (deg): 90.00 90.00 90.00
Sites, in units of the cell vectors:
Zr  0.727  0.777  0.576
Zr  0.232  0.757  0.746
Zr  0.177  0.712  0.078
Zr  0.773  0.223  0.076
Zr  0.268  0.243  0.246
Zr  0.823  0.212  0.422
Zr  0.677  0.788  0.922
Zr  0.227  0.723  0.424
Zr  0.732  0.743  0.254
Zr  0.273  0.277  0.924
Zr  0.768  0.257  0.754
Zr  0.323  0.288  0.578
W  0.225  0.120  0.378
W  0.586  0.900  0.375
W  0.961  0.102  0.552
W  0.775  0.620  0.122
W  0.648  0.856  0.716
W  0.852  0.144  0.216
W  0.414  0.400  0.125
W  0.039  0.602  0.948
W  0.086  0.600  0.625
W  0.310  0.876  0.554
W  0.914  0.100  0.875
W  0.117  0.126  0.685
W  0.461  0.398  0.448
W  0.383  0.874  0.185
W  0.690  0.376  0.946
W  0.883  0.626  0.815
W  0.352  0.356  0.784
W  0.810  0.624  0.446
W  0.617  0.374  0.315
W  0.725  0.380  0.622
W  0.275  0.880  0.878
W  0.190  0.124  0.054
W  0.148  0.644  0.284
W  0.539  0.898  0.052
O  0.718  0.293  0.006
O  0.300  0.523  0.433
O  0.948  0.459  0.638
O  0.256  0.765  0.247
O  0.800  0.977  0.567
O  0.823  0.258  0.581
O  0.597  0.543  0.459
O  0.735  0.722  0.395
O  0.097  0.643  0.010
O  0.195  0.671  0.347
O  0.013  0.068  0.632
O  0.640  0.851  0.313
O  0.327  0.046  0.213
O  0.173  0.954  0.713
O  0.552  0.541  0.138
O  0.964  0.685  0.108
O  0.677  0.742  0.081
O  0.817  0.956  0.233
O  0.177  0.758  0.919
O  0.282  0.793  0.494
O  0.966  0.217  0.718
O  0.903  0.143  0.490
O  0.452  0.808  0.724
O  0.536  0.315  0.608
O  0.191  0.938  0.400
O  0.228  0.493  0.593
O  0.288  0.851  0.812
O  0.858  0.432  0.436
O  0.052  0.959  0.862
O  0.358  0.068  0.564
O  0.448  0.041  0.362
O  0.691  0.562  0.600
O  0.827  0.454  0.787
O  0.548  0.286  0.094
O  0.036  0.185  0.392
O  0.695  0.829  0.653
O  0.048  0.214  0.906
O  0.242  0.773  0.151
O  0.758  0.273  0.349
O  0.464  0.815  0.892
O  0.218  0.207  0.994
O  0.142  0.932  0.064
O  0.212  0.149  0.312
O  0.993  0.186  0.060
O  0.466  0.283  0.282
O  0.265  0.222  0.105
O  0.673  0.546  0.287
O  0.788  0.649  0.188
O  0.700  0.023  0.067
O  0.110  0.241  0.557
O  0.683  0.044  0.733
O  0.007  0.686  0.440
O  0.809  0.438  0.100
O  0.610  0.259  0.443
O  0.034  0.717  0.782
O  0.097  0.957  0.541
O  0.305  0.329  0.847
O  0.048  0.192  0.224
O  0.805  0.171  0.153
O  0.235  0.778  0.605
O  0.360  0.351  0.187
O  0.903  0.457  0.959
O  0.493  0.314  0.940
O  0.317  0.544  0.767
O  0.534  0.783  0.218
O  0.244  0.235  0.747
O  0.183  0.456  0.267
O  0.140  0.649  0.687
O  0.756  0.735  0.753
O  0.772  0.993  0.907
O  0.403  0.357  0.510
O  0.597  0.857  0.990
O  0.323  0.242  0.419
O  0.452  0.786  0.406
O  0.200  0.477  0.933
O  0.548  0.308  0.776
O  0.987  0.568  0.868
O  0.642  0.568  0.936
O  0.744  0.265  0.253
O  0.258  0.227  0.651
O  0.728  0.007  0.407
O  0.390  0.759  0.057
O  0.507  0.814  0.560
O  0.765  0.278  0.895
O  0.309  0.062  0.900
O  0.403  0.043  0.041
O  0.952  0.714  0.594
O  0.487  0.932  0.132
O  0.513  0.432  0.368
O  0.890  0.741  0.943
O  0.742  0.727  0.849
O  0.952  0.692  0.276
O  0.860  0.149  0.813
O  0.272  0.507  0.093
O  0.712  0.351  0.688
O  0.782  0.707  0.506



VASP calculation (PBE with a Hubbard U) on ZrW2O11 after structural relaxation.

## Properties
Formation enthalpy at 0 K ... -1.62 eV/atom

a b c (Å): 10.397 10.397 10.397
angles (deg): 111.85 111.85 104.81
Sites, in units of the cell vectors:
Zr  0.506  0.006  0.500
Zr  0.756  0.756  0.000
Zr  0.006  0.506  0.500
Zr  0.256  0.256  0.000
W  0.146  0.013  0.201
W  0.811  0.944  0.799
W  0.694  0.396  0.633
W  0.311  0.513  0.867
W  0.763  0.061  0.367
W  0.646  0.444  0.133
W  0.263  0.896  0.701
W  0.194  0.561  0.299
O  0.366  0.968  0.602
O  0.366  0.764  0.398
O  0.514  0.616  0.898
O  0.866  0.468  0.602
O  0.718  0.616  0.102
O  0.866  0.264  0.398
O  0.218  0.116  0.102
O  0.014  0.116  0.898
+++
-- Job --
Now find "0.722" and "0.392" in the calculation results further up, and give back these two lines and those between.
-- Here it is --
O  0.735  0.722  0.395
O  0.097  0.643  0.010
O  0.195  0.671  0.347
O  0.013  0.068  0.632
O  0.640  0.851  0.313
O  0.327  0.046  0.213
O  0.173  0.954  0.713
O  0.552  0.541  0.138
O  0.964  0.685  0.108
O  0.677  0.742  0.081
O  0.817  0.956  0.233
O  0.177  0.758  0.919
O  0.282  0.793  0.494
O  0.966  0.217  0.718
O  0.903  0.143  0.490
O  0.452  0.808  0.724
O  0.536  0.315  0.608
O  0.191  0.938  0.400
O  0.228  0.493  0.593
O  0.288  0.851  0.812
O  0.858  0.432  0.436
O  0.052  0.959  0.862
O  0.358  0.068  0.564
O  0.448  0.041  0.362
O  0.691  0.562  0.600
O  0.827  0.454  0.787
O  0.548  0.286  0.094
O  0.036  0.185  0.392